[Material]
/*
Structure and computed powder XRD pattern of Co4PbO9 (a crystal structure in OQMD, relaxed with GGA+U; Cu Kα).

Atomic structure:
Unit cell a=6.309 b=6.309 c=4.891 alpha=104.37 beta=104.37 gamma=113.37
Element x y z (fractional)
Co (0.000, 0.000, 0.000)
Co (0.033, 0.535, 0.184)
Co (0.465, 0.967, 0.816)
Co (0.859, 0.141, 0.500)
Pb (0.547, 0.453, 0.500)
O (0.071, 0.300, 0.911)
O (0.143, 0.164, 0.413)
O (0.325, 0.099, 0.025)
O (0.337, 0.663, 0.500)
O (0.602, 0.150, 0.612)
O (0.700, 0.929, 0.089)
O (0.836, 0.857, 0.587)
O (0.850, 0.398, 0.388)
O (0.901, 0.675, 0.975)

Most intense lines, 15 to 90 degrees two-theta, sorted by position:
5.333 Å, 2θ 16.6, intensity 41; 4.363 Å, 2θ 20.4, intensity 25; 4.296 Å, 2θ 20.7, intensity 100; 3.330 Å, 2θ 26.8, intensity 54; 3.055 Å, 2θ 29.2, intensity 38; 2.872 Å, 2θ 31.1, intensity 73; 2.816 Å, 2θ 31.8, intensity 92; 2.667 Å, 2θ 33.6, intensity 53; 2.256 Å, 2θ 40.0, intensity 37; 2.016 Å, 2θ 45.0, intensity 25
*/
[Activity]
Start at the top of the lines further above and restate each line, ending with the one that has "Atomic structure:".
[Response]
Structure and computed powder XRD pattern of Co4PbO9 (a crystal structure in OQMD, relaxed with GGA+U; Cu Kα).

Atomic structure: